
TcxRB is a Garmin TCX parsing library for Ruby.

Primary LanguageRubyMIT LicenseMIT

Build Status


TcxRb is a ruby library for parsing Garmin TCX files into sensible Ruby objects.


Add this line to your application's Gemfile:

gem 'tcx_rb'

And then execute:

$ bundle install

Or install it yourself as:

$ gem install tcx_rb


The simplest way to start using TcxRb is to create a workout from a file.

workout = TcxRb.workout_from_file('/path/to/file')
# => TcxRb::Workout

# => 181

# => -3.17

# => 3.027

# => [TcxRb::Activity]

# => [TcxRb::Lap]

# => 3762

# => 39.965614

# => -75.180849


The main classes in TcxRb are Workout, Activity, Lap, and Trackpoint.


Workout is the highest level object and its only attribute is activities which is an array of Activity objects.

Workout also implements + and -.


Activity is the highest level object in the tcx schema. It has the following attributes:

  • sport - Sport detailed by the tracker (ex. Running).
  • id - ID given by the tracker.
  • creator - Name of the tracker.
  • laps - Array of Lap objects.


Lap represents one "session" in the schema. It has a collection of trackpoints and distance associated with it. It has the following attributes:

  • start_time - Start time of lap (string).
  • total_time - Total time of the lap (float).
  • distance - Total distance traveled in meters.
  • calories - Total calories burned.
  • intensity - Classification of lap intensity.
  • trigger_method - Method used to start the lap.
  • trackpoints - Array of Trackpoint objects.


Trackpoint reprsents a sample from the tracker. Lowest level object in the hierarchy that contains the data that the other objects use for computations. It has the following attributes:

  • time - Time the trackpoint was sampled (string).
  • latitude - Latitude of the trackpoint.
  • longitude - Longitude of the trackpoint.
  • altitude - Height from sea level, in meters.
  • distance - Total distance since the beginning of the workout, in meters.
  • heart_rate - Heart rate the tracker sampled.
  • lat - alias for latitude.
  • lon - alias for longitude.


Parser is the class used to parse the tcx file into a Workout. A parser can be instansiated by passing in tcx string. It exposes the parse_trackpoints, parse_laps, and parse_activities methods which will return an array of hashes of the corresponding object.


tcx_str = File.read('/path/to/data')
parser = TcxRb::Parser.new(tcx_str)

• Calculated crystals, kept here for reference:
____________
1.
# La3Ru

La3Ru after structural relaxation (PBE, Materials Project).

Properties
The space group is No. 62. As for the energy of formation from the pure elements: -0.942 eV per formula unit.

CIF file:
```
data_La3Ru
_chemical_formula_sum 'La12 Ru4'
_cell_length_a 6.605
_cell_length_b 7.389
_cell_length_c 10.142
_cell_angle_alpha 90.00
_cell_angle_beta 90.00
_cell_angle_gamma 90.00
_symmetry_space_group_name_H-M 'P 1'
_symmetry_Int_Tables_number 1
loop_
_symmetry_equiv_pos_as_xyz
'x,y,z'
loop_
_atom_site_label
_atom_site_type_symbol
_atom_site_fract_x
_atom_site_fract_y
_atom_site_fract_z
_atom_site_occupancy
La1 La 0.329 0.668 0.069 1
La2 La 0.171 0.168 0.431 1
La3 La 0.671 0.332 0.569 1
La4 La 0.829 0.832 0.931 1
La5 La 0.671 0.332 0.931 1
La6 La 0.829 0.832 0.569 1
La7 La 0.329 0.668 0.431 1
La8 La 0.171 0.168 0.069 1
La9 La 0.850 0.551 0.250 1
La10 La 0.650 0.051 0.250 1
La11 La 0.150 0.449 0.750 1
La12 La 0.350 0.949 0.750 1
Ru1 Ru 0.055 0.873 0.250 1
Ru2 Ru 0.445 0.373 0.250 1
Ru3 Ru 0.945 0.127 0.750 1
Ru4 Ru 0.555 0.627 0.750 1
```

2.
# La3Ru

La3Ru after structural relaxation (PBE, Materials Project).

Properties
The space group is No. 139. As for the energy of formation from the pure elements: 0.522 eV per formula unit.

CIF file:
```
data_La3Ru
_chemical_formula_sum 'La3 Ru1'
_cell_length_a 6.389
_cell_length_b 6.389
_cell_length_c 6.389
_cell_angle_alpha 139.22
_cell_angle_beta 139.22
_cell_angle_gamma 59.03
_symmetry_space_group_name_H-M 'P 1'
_symmetry_Int_Tables_number 1
loop_
_symmetry_equiv_pos_as_xyz
'x,y,z'
loop_
_atom_site_label
_atom_site_type_symbol
_atom_site_fract_x
_atom_site_fract_y
_atom_site_fract_z
_atom_site_occupancy
La1 La 0.750 0.250 0.500 1
La2 La 0.250 0.750 0.500 1
La3 La 0.500 0.500 0.000 1
Ru1 Ru 0.000 0.000 0.000 1
```

3.
# LaSi3Ru

LaSi3Ru after structural relaxation (PBE, Materials Project).

Properties
The space group is No. 107. As for the energy of formation from the pure elements: -3.602 eV per formula unit.

CIF file:
```
data_LaSi3Ru
_chemical_formula_sum 'La1 Si3 Ru1'
_cell_length_a 5.828
_cell_length_b 5.828
_cell_length_c 5.828
_cell_angle_alpha 137.07
_cell_angle_beta 137.07
_cell_angle_gamma 62.33
_symmetry_space_group_name_H-M 'P 1'
_symmetry_Int_Tables_number 1
loop_
_symmetry_equiv_pos_as_xyz
'x,y,z'
loop_
_atom_site_label
_atom_site_type_symbol
_atom_site_fract_x
_atom_site_fract_y
_atom_site_fract_z
_atom_site_occupancy
La1 La 0.000 0.000 0.000 1
Si1 Si 0.416 0.416 0.000 1
Si2 Si 0.261 0.761 0.500 1
Si3 Si 0.761 0.261 0.500 1
Ru1 Ru 0.655 0.655 0.000 1
```

4.
# LaSiRu

LaSiRu after structural relaxation (PBE, Materials Project).

Properties
The space group is No. 129. As for the energy of formation from the pure elements: -2.409 eV per formula unit.

CIF file:
```
data_LaSiRu
_chemical_formula_sum 'La2 Si2 Ru2'
_cell_length_a 4.260
_cell_length_b 4.260
_cell_length_c 7.167
_cell_angle_alpha 90.00
_cell_angle_beta 90.00
_cell_angle_gamma 90.00
_symmetry_space_group_name_H-M 'P 1'
____________

#  => [{:time=>"2020-02-11T21:44:03.000-05:00", :latitude=>"39.965614", :longitude=>"-75.180849", :altitude=>"8.071420612508698", :distance=>"55.1", :heart_rate=>"146"}]


Instances of Workout, Activity, and Lap all implement the following methods:

  • max_heart_rate - Max heart rate of all trackpoints.
  • min_heart_rate - Min heart rate of all trackpoints.
  • avg_heart_rate - Avg heart rate of all trackpoints.
  • max_altitude - Max altitude of all trackpoints.
  • min_altitude - Min altitude of all trackpoints.
  • avg_altitude - Avg altitude of all trackpoints.
  • max_pace - Max pace of all pairs of trackpoints (m/s).
  • min_pace - Min pace of all pairs of trackpoints (m/s).
  • avg_pace - Avg pace of all pairs of trackpoitns (m/s).

Additionally, Workout and Activity implement the following:

  • total_tps - The sum of the size of trackpoints contained in the child laps.
  • time - The total "active" time of all the child laps (discounts time spent paused).
  • distance - Total distance of all the child laps.
  • calories - Sum of the calories burned in each child lap.


Example using + and - with Workout:

sat_workout = TcxRb.workout_from_file('saturday.tcx')
sun_workout = TcxRb.workout_from_file('sunday.tcx')

# => 5000

# => 10000

weekend_workouts = sat_workout + sun_workout
# => 15000

(weekend_workouts - sat_workout).total_distance
# => 10000


After checking out the repo, run bin/setup to install dependencies. Then, run rake test to run the tests. You can also run bin/console for an interactive prompt that will allow you to experiment.

To install this gem onto your local machine, run bundle exec rake install. To release a new version, update the version number in version.rb, and then run bundle exec rake release, which will create a git tag for the version, push git commits and tags, and push the .gem file to rubygems.org.


Bug reports and pull requests are welcome on GitHub at https://github.com/kdoggett887/tcx_rb.


The gem is available as open source under the terms of the MIT License.